Wednesday, April 29, 2009

Synthetic Oil Myth?

I've read a couple of articles saying that Synthetic Oil is better for oil change than the regular ones. Synthetic Oild definitely has lower viscosity than the mineral oil and therefore ditsributes heat within the engine better and helps maintains a cool temperature. The myth is that when you start using synthetic oil you have better gas mileage and car performance. With my experience it wasn't.

I switched to synthetic oil 6 months ago and been monitoring it on a regular basis. While I was still using mineral oil my gas mileage was between 17 to 18.9 mpg. Just yesterday my car had 20.13 mpg. So my car was more gas efficient. I had an extra 1.23 mpg and since my car can contain 23 gal (full tank)  I gained an extra 28.29 miles. I'm not sure why it took 6 months to finally get value out of this wonderful oil. Maybe my car was still in the process of adjusting to the new oil. But it worked for me. My car is an Infinit FX 35 V6 2004.
I'm gonna continue using Synthetic Oil till my car finally give up the ghost.

Monday, April 27, 2009

~~~
Below is an isolated ion of composition C4H13N3 and charge +1 at a distorted geometry, with properties calculated with ωB97M-V/def2-TZVPD.

## Properties
electronic energy: -324.07775 Ha
frontier orbital gap (spin up / spin down): 10.930 / 5.426 eV
LUMO (spin up / spin down): -2.8 / -8.3 eV
ΔE to the lowest compared entry with this formula, charge and spin: 2.400 eV
total charge: +1
spin multiplicity: 2

Cartesian coordinates (Å):
C  -0.2365  1.5617  0.0264
N  0.5823  2.4719  0.9263
C  -0.1577  0.0461  0.6726
C  -0.9840  -0.1106  1.9165
N  -0.6556  -0.8355  -0.3996
C  0.3962  -1.7881  -0.9209
N  0.9141  -1.2770  -2.2003
H  -1.3249  1.8527  0.0672
H  0.0171  1.6072  -1.0536
H  1.5780  2.2300  0.8280
H  0.5895  3.3979  0.4978
H  0.9394  -0.3094  1.0935
H  -0.8547  0.6178  2.6281
H  -1.9964  -0.4264  1.6327
H  -0.6861  -0.8663  2.6828
H  -1.4543  -1.3379  -0.0236
H  -0.2084  -2.7223  -1.2322
H  1.2143  -1.9983  -0.1755
H  1.8649  -1.2032  -2.4399
H  0.3292  -1.6127  -2.9586

----------

Density functional theory data (ωB97M-V/def2-TZVPD) for a structure of composition C49H40ClGeN2O2PReS in a non-equilibrium geometry.

```
98
Properties=species:S:1:pos:R:3
Re 0.204 -0.762 -1.299
C -6.857 -2.621 -3.430
C -5.463 -2.141 -3.710
C -5.234 -0.938 -4.375
C -3.944 -0.476 -4.568
C -2.869 -1.235 -4.142
C -3.073 -2.457 -3.537
C -4.368 -2.891 -3.299
S -1.227 -0.626 -4.549
O -0.869 -1.255 -5.797
O -1.272 0.812 -4.512
N -0.267 -1.133 -3.323
C 0.869 -1.834 -3.487
C 1.555 -2.154 -4.673
C 2.715 -2.883 -4.584
C 3.196 -3.289 -3.334
C 2.508 -2.896 -2.209
N 1.383 -2.189 -2.279
H -7.425 -1.878 -2.871
H -6.835 -3.543 -2.855
H -7.389 -2.812 -4.360
H -6.067 -0.352 -4.735
H -3.748 0.471 -5.048
H -2.227 -3.067 -3.248
H -4.524 -3.826 -2.781
H 1.158 -1.814 -5.613
H 3.262 -3.130 -5.483
H 4.098 -3.872 -3.246
H 2.850 -3.142 -1.212
Cl -2.904 -1.375 -0.647
C -3.446 0.228 -0.964
C -4.700 0.433 -1.500
C -5.102 1.726 -1.787
C -4.252 2.789 -1.535
C -3.006 2.570 -0.971
C -2.590 1.281 -0.661
P -0.952 0.749 0.164
C -1.771 0.151 1.673
C -2.658 0.966 2.365
C -3.284 0.487 3.503
C -3.057 -0.810 3.933
C -2.173 -1.624 3.240
C -1.520 -1.140 2.124
C -0.249 2.383 0.516
C 0.252 3.141 -0.541
C 0.907 4.332 -0.286
C 1.084 4.762 1.020
C 0.603 4.000 2.072
C -0.066 2.816 1.824
H -5.347 -0.406 -1.688
H -6.086 1.899 -2.194
H -4.566 3.798 -1.758
H -2.355 3.404 -0.750
H -2.850 1.970 2.016
H -3.955 1.125 4.057
H -3.574 -1.193 4.801
H -1.991 -2.636 3.574
H -0.814 -1.753 1.573
H 0.121 2.783 -1.557
H 1.290 4.920 -1.107
H 1.606 5.684 1.227
H 0.744 4.324 3.093
H -0.442 2.223 2.647
C 0.729 -0.191 0.481
Ge 2.226 0.030 1.705
C 1.888 0.897 3.462
C 2.718 1.924 3.891
C 2.554 2.495 5.139
C 1.543 2.054 5.975
C 0.697 1.043 5.552
C 0.871 0.466 4.306
C 3.102 -1.726 2.040
C 4.099 -2.128 1.161
C 4.801 -3.299 1.373
C 4.515 -4.082 2.480
C 3.525 -3.689 3.365
C 2.819 -2.518 3.143
C 3.597 1.071 0.735
C 3.362 1.571 -0.536
C 4.342 2.285 -1.203
C 5.573 2.498 -0.606
C 5.826 1.986 0.657
C 4.843 1.273 1.318
H 3.493 2.290 3.236
~~~
(The molecular data stop here)

Pulled Over by A Cop Just Two Hours Ago

I drove to my friend's place in Lawrenceville this evening to get my 4BG USB Stick and meet his kid and his lovely wife. Then went to eat at Bonefish close to their house and drove back home. Finally headed out to I-85S and just when I passed exit 113 I decided to hit 80MPH on a 70MPH speed limit so I can make some phone calls and schedule a visit for some church members this week. Within a minute, I saw this flashing lights behind me and I knew I will be getting a ticket. Dang.

The officer walked on the passenger side and ask me "Guess how fast you were driving?". I said 80. He responded, "At least you were honest". Which I knew I was driving that fast. He later followed it with "Do you have to do something that's why you are driving that fast?". I said yes, I needed to make some phone calls to schedule a visit to some of our church members just to see how they're doing and understand if they need anything. He took my license and registration. Waited for 5 minutes. Then he came up and was holding only my driver's license and registration. Urged me to renew my license since it will be expiring before this end of May. My verdict - "Verbal Warning". Whew.... That was comforting! In this recession, Insurance companies will always find a way to charge you more on your premium once they see a hole in your driving record. I'm glad I didn't get the ticket!

The cop told me to take my time and bid me goodnight. He did look intimidating at first just like that Mercury Guy from one of the Terminator Movie Series but was kind enough to let me go for free.

Sunday, April 26, 2009

LDS Community Service Project

Yesterday was just one of those community service projects that our church got involved into. Our church annualy participates in community service projects that involves helping schools put up their picnic tables, pain them and plant and prune trees. Others will go to somebody's home and help them paint their house or any organization or family or individual who needs help. We all bring our own tools to do the work. I invited my nephew Alex and explained to him that we will be planting, putting pine straws and barks at the River Trail Middle School in Johns Creek, GA. We had fun working. We started at 9AM and finished around 11AM.

My nephew learned how to use the shovel and proper procedure in planting when the soil is full of clay. I was so happy to see him participate at this kind of activities. I hope he did understand the value of true service. Nothing is more rewarding than seeing people smile and sincerely express their thank you for a community service.

Our church globally, at the same day, reach out to those in need at least twice a year. We are better known as the Mormons. But the real name of our church is The Church of Jesus Christ of Latter Day Saints.

Thursday, April 16, 2009

LA Fitness Scam?

I'd go straight to the point. LA Fitness requires you to pay around $250 or more for one time membership fee then charges you around $30 on a monthly rate. My situation 2 years ago was that I need to move to a new house and I won't be able to use my membership because of some stuff I need to take care of and I requested if they can hold on to my memberhsip and not charge me monthly because I wont be at their facility for a month or two. They didn't like it. To cut the story short, I closed my account and they removed my membership. Just last March I joined LA Fitness again because it was the closest place for me to exercise. But I have to pay again the one time membership of almost the same value!

Are they corrupting the meaning of one time membership fee? Once you are a member of that fitness club you will always be a member right? And all you have to do is pay the monthly charges. As some other places do. They charge you a one time fee and you have a choice to pay by day or by month that is only if you come in and use their facility.

I just don't like LA Fitness' business model on that membership thing. I don't know, I feel like they're cheating.

Data records, as found in the file =
-- begin --
Record 1
50
Properties=species:S:1:pos:R:3:forces:R:3 method="wB97M-V/def2-TZVPD" e_above_lowest_kj_mol=117.7 spin_multiplicity=1 homo_ha=-0.4131 total_charge=+1 fmax_ha_per_bohr=0.0465
C -0.645 -1.771 -1.594 -1.0046 0.1997 0.5764
C 0.354 -1.198 -0.589 0.6597 -1.2911 -0.4886
C 0.234 -1.881 0.769 -0.1607 0.7636 0.7056
C 1.348 -1.541 1.742 -0.0472 -0.0224 -0.3105
C 2.452 -2.297 1.817 -0.6255 0.4509 0.4933
C -0.040 0.118 3.008 -0.1345 -0.6879 0.4232
N 1.241 -0.327 2.456 -0.3019 -0.5683 -0.2671
N 0.282 0.293 -0.471 0.0026 -0.3296 0.9413
H -1.268 -0.979 -2.001 0.4401 -0.2145 -0.4546
H -0.212 -2.396 -2.368 0.2352 0.2457 -0.0768
H -1.377 -2.387 -1.067 0.1295 -0.0915 0.0612
H 1.361 -1.411 -0.949 0.1105 0.2721 -0.0041
H -0.741 -1.628 1.191 -0.0233 0.1110 0.0137
H 0.181 -2.960 0.701 0.2699 -0.1394 -0.5914
H 3.085 -2.128 2.682 0.5227 -0.0985 -0.3906
H 2.640 -3.083 1.105 0.0208 -0.2331 0.2295
H -0.889 -0.110 2.370 0.2020 0.3786 -0.4666
H 0.014 1.183 3.188 -0.1702 0.1348 0.1441
H -0.316 -0.434 3.916 0.2925 0.2965 0.2374
H 1.989 -0.295 3.139 -0.1181 0.2845 0.0700
H 0.626 0.743 -1.311 -0.2813 0.1434 -0.3032
H 0.896 0.614 0.297 0.0942 -0.3016 -0.1391
H -0.654 0.641 -0.240 -0.0939 0.0416 -0.2736
H -3.869 2.000 2.461 -0.4927 -0.4918 0.5669
H -3.014 1.584 1.384 0.5156 -0.4220 -0.0340
O -3.491 1.170 2.135 0.1713 1.2621 -0.4185
H 3.849 -0.433 -2.464 0.0810 0.1923 -0.1394
H 4.975 -0.377 -1.377 0.0172 -0.1113 -0.2528
O 4.026 -0.464 -1.516 0.0431 -0.2089 0.1153
H 1.660 2.348 -0.115 1.3708 1.0867 0.0372
H 1.185 3.987 -0.303 1.1672 -0.2557 -0.1960
O 1.021 3.071 -0.094 -2.3060 -0.5389 0.3427
H -3.684 -0.304 1.393 0.0436 -0.3142 -0.0430
H -3.395 -1.780 1.664 -0.0949 -0.6035 0.4278
O -3.456 -1.159 0.948 0.2840 0.4546 1.1206
H 3.355 1.831 -3.794 0.0700 -0.0982 0.2101
H 2.349 1.172 -4.683 -0.0715 -0.3048 0.0419
O 2.809 1.037 -3.845 0.0131 0.3206 -0.1311
H 3.003 0.464 1.046 -0.3041 0.3906 0.3286
H 3.327 0.527 -0.410 -0.2827 0.7073 0.1068
O 2.917 1.087 0.310 0.3662 -0.8749 -0.4658
H -0.957 2.877 0.379 -0.0038 -0.1865 -0.5014
H -1.918 2.079 -0.651 0.2643 0.3061 -0.1637
O -1.787 2.387 0.261 -0.3172 -0.2931 0.5663
H -4.046 -1.023 -0.416 0.5259 0.0680 0.2197
H -4.598 -1.169 -1.801 0.0912 0.3079 -0.4424
O -3.943 -0.656 -1.313 -0.8040 -0.1885 -1.4269
H -2.255 1.667 -2.778 -0.2054 -0.2354 -0.0910
H -2.662 0.316 -2.057 -0.5377 0.2154 0.1184
O -1.963 0.994 -2.154 0.3765 0.4716 -0.0256

---

Record 2
81
Properties=species:S:1:pos:R:3:forces:R:3 method="wB97M-V/def2-TZVPD" e_above_lowest_kj_mol=0.0 spin_multiplicity=1 homo_ha=-0.1450 total_charge=-1 fmax_ha_per_bohr=0.0033
Tl -1.257 0.926 1.005 -0.0437 0.0126 0.1199
C 3.514 -0.874 3.470 -0.0017 -0.0039 0.0112
C 2.527 -0.097 2.603 0.0532 0.0375 -0.0509
C 3.237 0.630 1.460 -0.0231 0.0259 0.0380
P 1.005 -0.907 1.919 -0.0537 0.0197 -0.0419
C 0.403 -2.020 3.292 -0.0241 -0.0211 -0.0272
C -1.103 -2.219 3.100 0.0081 -0.0290 0.0140
C 1.084 -3.377 3.435 -0.0042 -0.0310 0.0064
C 1.489 -2.067 0.605 0.0271 0.0106 -0.0168
-- stop --
Back to the piece =

Saturday, April 11, 2009

Delta Airline's Black Hole System

This experience I'm going to explain was about a year or two years ago when I flew to Salt Lake City, UT for our Church General Conference. I bought my ticket from Delta and was ready to fly few days before the event. Of course, GA 400 and I-85 South are so unpredictable sometimes even on weekends in terms of the traffic volume. I got in at the airport and made it thru the security check and I only had 5 minutes left before my plane leaves. I rushed to the gate thinking I will be able to make it because I had 2 minutes left before the plane leaves. But the gate was closed and nobody there was able to help me out..actually there were 5 of us who got into the same situation.

So, I went to one of the Delta help desk and ask how can I get into a plane as early as I can. They pointed me to one corner that has several telephone booths and call a specific number to talk to one of their representatives that can reschedule my flight. The earliest available flight was 2 hours after I talked to with the representative and warned me to call her 45 minutes before the flight to confirm I have a seat for that schedule. So I did and was confirmed and told to go to this terminal where I can get my boarding pass. To my surprise, I have to pay $50 because I missed my flight and fees apply for the flight change. I...was...not...happy! But I didn't have a choice but to pay it and get over it.

I was on board for my rescheduled flight and arrived in Salt Lake City smoothly. I stayed their for 5 days. It was time to leave and pack up my stuff. I got in at the airport "on time" because traffic was good plus I did my usual "arrive at the airport 2 hours before the flight". I was infront of this lady checking me in and she was not able to locate my information on their database! It appeared I have no ticket going back but I had a round trip ticket paid! She asked my flight from Atlanta 5 days ago how it went and I told her my story and frustration. Finally she figured out that "Delta Airlines" automatically deletes your travel information if you missed your first flight and I was not told about it. The Delta employee who took care of my new boarding pass for Salt Lake Flight never told me this! So the end result, was that I have to stay at the airport for 6 hours because that's the only flight available heading to Atlanta and I'm so glad she did her best to put me as the #1 in the waiting list because the plane that arrived 6 hours later only had 1 seat available! 

So both flights were terrible! I hated the fact that Delta never tried to maintain my return flight information or at least re-process it so I will have a smoot entry at the checkin and flight back.

Bottomline is never ever be late with your flight(s) if possible so that wont' happen to you. I never got any perks or compensation to make me happy about the mishap. Delta will automatically delete your return flight from their system and will make it appear you never bought a return flight ticket from them even if you have.